Wednesday, 31 October 2007
Final Call!
Other News
A post on possibly the best EP weekend ever is in the pipeline. I don't want to do the weekend a disservice by rushing a post on it! If you've got any pictures of the weekend you want to donate please email them to us.
Tuesday, 23 October 2007
Our Deepest Fear

Friday, 12 October 2007
Freemasonry and the RTC
"Freemasonry Uncovered"

A meeting uncovering the truth about Freemasonary.
Dromore Reformed Presbyterian Church
Friday 19th October 7.30pm
A latin saying of the Freemasons is "Aude Vide Tace". This means "Hear, see and be silent". As a church we want people to hear and see Freemasonry for what it really is and we don't want to be silent on it.
"Ministering for the Master"

congregations established and the lost reached with the gospel.
But what is the work of the ministry?
How can you know if God is calling you to it?
This conference will be answering these questions.
Date: Saturday 3rd November Time: 10.00 am - 3.00 pm
Content: Seminars, Interviews, Discussion
Registrar: Rev David McCullough (Tel 028 92690155)
Registration Fee: £5 - payable at event contributes towards lunch, book and information leaflet on RTC
Please register soon if you plan to go
This conference is not some sort of College open day nor if you go will you be forced to sign up for the next intake of students! Neither is it restricted to any age range. This is a conference which all men young and old (Moses wasn't called till he was 80!) should attend as we have a duty to consider how God wants us to serve him and how to help and understand our ministers better.
Saturday, 6 October 2007
How To Be A Completely Ineffective Church Member (Part 3)
"Take Away Church” is all the rage these days, in fact there is one on every street corner. It is the new way of doing church in this “get what you can and can what you get” age. Adopting this selfish, self-centred mindset will provide you with the ideal slippery snake for scooting down to ineffective church membership.
You must think of church life as a local takeaway laid on entirely to satisfy your every need. Don’t for one moment imagine that your local church is for the glory of God and the sphere where you are to utilise your Christ given gifts in the service of others. Try and see your local church with its busy programmes as a hot food outlet, which you can visit when you feel a little spiritually peckish and scan the menu for that essential ingredient that you enjoy and avoid everything else.
Next to the page, the page also holds calculated crystals >
'''
(1)
This entry pairs a crystal structure of Na5Bi2As5O18 with its computed powder XRD pattern. Radiation: Cu Kα, 1.54184 Å. Structure: a cell relaxed with PBE.
Intensities are scaled so that the largest is 100.

The 10 most intense peaks (10 to 90 degrees two-theta), most intense first:
- hkl 0 1 -1, 2θ 10.59, intensity 100
- hkl 0 1 3, 2θ 24.58, intensity 95
- hkl 0 2 -1, 2θ 18.02, intensity 90
- hkl 0 3 -2, 2θ 28.44, intensity 85
- hkl 0 2 2, 2θ 24.18, intensity 83
- hkl 0 0 4, 2θ 29.30, intensity 77
- hkl -1 1 1, 2θ 16.88, intensity 71
- hkl 2 -1 0, 2θ 26.11, intensity 69
- hkl 2 0 0, 2θ 24.76, intensity 66
- hkl 0 3 2, 2θ 31.81, intensity 61

Structure:
Lattice parameters (Å, degrees): 7.1985 10.2599 12.2983 97.29 92.23 90.92
Space group P-1 (No. 2)
Inequivalent atoms, fractional coordinates:
Na (0.0120, 0.0626, 0.3727) (multiplicity 2)
Na (0.0908, 0.2208, 0.1528) (multiplicity 2)
Na (0.2256, 0.8747, 0.1410) (multiplicity 2)
Na (0.3335, 0.3904, 0.3759) (multiplicity 2)
Na (0.4690, 0.7291, 0.9031) (multiplicity 2)
Bi (0.2321, 0.3720, 0.8941) (multiplicity 2)
Bi (0.3303, 0.7658, 0.4405) (multiplicity 2)
As (0.1712, 0.5824, 0.6606) (multiplicity 2)
As (0.1733, 0.2667, 0.6064) (multiplicity 2)
As (0.2257, 0.0205, 0.8916) (multiplicity 2)
As (0.2821, 0.5741, 0.1584) (multiplicity 2)
As (0.4881, 0.0622, 0.3033) (multiplicity 2)
O (0.0072, 0.8384, 0.4404) (multiplicity 2)
O (0.0092, 0.3148, 0.3337) (multiplicity 2)
O (0.0287, 0.9931, 0.8119) (multiplicity 2)
O (0.0652, 0.4222, 0.6077) (multiplicity 2)
O (0.0890, 0.6676, 0.1412) (multiplicity 2)
O (0.2314, 0.1748, 0.9693) (multiplicity 2)
O (0.2466, 0.4129, 0.1023) (multiplicity 2)
O (0.2605, 0.2453, 0.7331) (multiplicity 2)
O (0.2623, 0.8937, 0.9638) (multiplicity 2)
O (0.2702, 0.5650, 0.7868) (multiplicity 2)
O (0.3219, 0.9554, 0.3401) (multiplicity 2)
O (0.3282, 0.9112, 0.6027) (multiplicity 2)
O (0.3301, 0.6043, 0.5625) (multiplicity 2)
O (0.3449, 0.5852, 0.2957) (multiplicity 2)
O (0.3507, 0.2533, 0.5169) (multiplicity 2)
O (0.3951, 0.1954, 0.2561) (multiplicity 2)
O (0.4330, 0.0373, 0.8158) (multiplicity 2)
O (0.4482, 0.6453, 0.0843) (multiplicity 2)

(2)
This entry pairs a crystal structure of Nd5Bi2As2 with its computed powder XRD pattern. Radiation: Cu Kα, 1.54184 Å. Structure: a cell relaxed with PBE.
Intensities are scaled so that the largest is 100.

The 10 most intense peaks (10 to 90 degrees two-theta), most intense first:
- hkl 5 1 1, 2θ 32.17, intensity 100
- hkl 4 2 1, 2θ 33.23, intensity 77
- hkl 4 0 2, 2θ 31.32, intensity 76
- hkl 1 1 3, 2θ 34.76, intensity 69
- hkl 1 3 1, 2θ 34.92, intensity 69
- hkl 0 2 2, 2θ 30.64, intensity 67
- hkl 3 1 2, 2θ 29.50, intensity 63
- hkl 5 3 3, 2θ 55.45, intensity 39
- hkl 0 4 4, 2θ 63.79, intensity 33
- hkl 5 1 2, 2θ 37.40, intensity 33

Structure:
Lattice parameters (Å, degrees): 15.8250 8.2287 8.2769 90.00 90.00 90.00
Space group Cmce (No. 64)
Inequivalent atoms, fractional coordinates:
Nd (0.0000, 0.0000, 0.0000) (multiplicity 4)
'''
In “Take Away Church” you will notice that there are some people busy behind the counter. Don’t for one minute feel pangs of guilt when you see their sweat beaded brows, and at all costs don’t offer to lend a hand. After all they have nothing else to do and you are so busy. You simply couldn’t fit in any more to your busy schedule: Monday evening it’s badminton club, Tuesdays you have your weekly dose of soaps, Wednesday (MW night) you have those extra swimming lessons, Thursday you help with the Youth Work in 1st Whatever, Friday is your evening for walking the dog, Saturday you play golf in the morning and do the shopping in the afternoon, Sunday is your only morning for a lie in, a good snooze in the afternoon and visit the relatives in the evening. You couldn’t possibly fit in any time to help out at the Take Away.
Don’t take in too much by way of showing up when the church family meets for worship. You might stumble on to a series of body life sermons where the minister will be laying it on thick about the need for everyone to do their bit. Once a fortnight should be enough to keep spiritual starvation at bay. Not in your wildest dreams should you consider becoming a twicer (am & pm worshipper). This would be ineffectiveness suicide.
In this era of “Take Away Church” you need to develop skills in sermon tasting. Make sure that you do the rounds of all the Harvest Services, BB Enrolment Services, Children’s Day Services, Christmas Carol Services, My Gran’s Got a New Coat Services just to see what’s on the menu in the other Takeaways.
Don’t for one moment imagine that anyone in your Takeaway will miss you, after all you are not even a regular customer now that your family has four months out each year at your new holiday home.
Of course there will be times when you will need just a little more than the odd sound bite of Biblical matter. For those dark days remember that you are entitled to the undivided attention of the minister, elders and the church members, after all you are a paying member. Anyway, that is what the minister gets paid for and Mrs Jones has nothing better to do than call to see your family with a casserole each week. DO NOT feel guilty and avoid any desires to pledge yourself to helping others.
When you make your twice-monthly trip to church, remember, in and out as quick as you can. Arrive late and don’t linger at the close of the service or you will begin to see that there are others with needs and that you might have the where withal to help them. It is best to join in the stampede for the door and see if can you make it first off the grid from the car park three weeks in a row.
Remember church exists for YOU!Bible Bits to keep clear of: Hebrews 10:19-25, I Corinthians 12:7
David McCullough